Entries =
~~~
# 1
Here is 5 unconnected molecules or ions with the total composition C33H78N4O3P at a distorted geometry from the OMol25 dataset. Energies are from wB97M-V/def2-TZVPD.

The total charge is +3. The HOMO-LUMO gap is 8.795 eV. The total energy comes out at -56850.251 eV.

Element x y z (Å)
P1 -12.97 -11.10 16.34
O1 -11.35 -9.44 12.58
O2 -11.12 -7.40 11.78
O3 -10.58 -9.00 10.58
N1 -9.81 -12.76 10.27
N2 -11.04 -8.60 11.70
N3 -10.84 -4.83 10.97
N4 -15.01 -6.29 8.67
C1 -15.96 -5.06 8.73
C2 -14.43 -8.51 10.09
C3 -13.91 -11.53 14.85
C4 -9.50 -12.04 11.59
C5 -11.00 -11.59 8.51
C6 -10.34 -10.43 17.41
C7 -13.30 -7.79 14.87
C8 -12.74 -14.01 20.01
C9 -8.17 -12.33 12.33
C10 -13.24 -12.74 14.14
C11 -12.88 -8.20 16.35
C12 -13.15 -13.65 17.51
C13 -11.14 -10.97 16.21
C14 -8.81 -12.40 9.14
C15 -14.18 -7.14 6.49
C16 -9.66 -11.97 7.97
C17 -8.53 -12.26 17.63
C18 -13.64 -9.46 16.94
C19 -7.89 -11.46 13.53
C20 -13.48 -14.53 18.72
C21 -16.03 -9.50 11.80
C22 -14.57 -9.07 11.54
C23 -12.73 -6.47 14.38
C24 -9.74 -11.57 18.30
C25 -13.50 -12.19 17.69
C26 -9.69 -14.27 10.63
C27 -15.38 -7.15 7.38
C28 -13.55 -5.86 8.36
C29 -13.56 -14.39 12.12
C30 -11.24 -12.41 9.77
C31 -14.06 -13.16 12.90
C32 -13.02 -6.88 7.39
C33 -15.20 -7.14 9.97
H1 -10.38 -12.26 12.20
H2 -13.83 -14.10 16.78
H3 -10.96 -9.85 18.09
H4 -16.08 -4.63 7.74
H5 -13.38 -8.34 9.83
H6 -12.25 -12.47 13.77
H7 -8.86 -12.78 16.74
H8 -11.65 -6.43 14.24
H9 -11.69 -13.76 19.82
H10 -8.65 -14.61 10.59
H11 -12.89 -11.78 18.49
H12 -9.53 -10.98 11.32
H13 -16.00 -10.20 12.64
H14 -14.57 -12.11 17.93
H15 -13.04 -7.34 17.00
H16 -13.27 -8.63 14.18
H17 -12.14 -6.45 6.92
H18 -10.51 -12.32 18.48
H19 -16.65 -8.61 11.90
H20 -8.21 -11.59 9.55
H21 -11.80 -8.34 16.42
H22 -11.73 -11.73 7.72
H23 -16.31 -6.77 6.95
H24 -9.60 -9.77 16.97
H25 -15.61 -8.20 7.56
H26 -16.28 -7.19 10.11
H27 -10.84 -11.93 15.79
H28 -13.23 -13.12 20.39
H29 -13.68 -15.22 12.82
H30 -12.91 -5.89 9.24
H31 -13.02 -13.62 14.75
H32 -14.76 -6.43 10.67
H33 -7.63 -10.45 13.24
H34 -14.23 -6.34 5.76
H35 -7.96 -12.89 18.33
H36 -11.68 -13.39 9.59
H37 -7.02 -11.83 14.07
H38 -10.31 -14.60 11.46
H39 -15.10 -13.34 13.16
H40 -9.79 -12.76 7.23
H41 -7.33 -12.33 11.64
H42 -14.29 -8.33 12.29
H43 -14.02 -12.35 12.17
H44 -8.14 -13.18 8.79
H45 -9.15 -11.15 7.46
H46 -12.96 -14.79 20.74
H47 -12.51 -14.36 11.84
H48 -10.35 -4.69 10.10
H49 -7.83 -11.47 17.36
H50 -14.19 -8.06 5.90
H51 -16.44 -10.07 10.97
H52 -14.01 -10.68 14.18
H53 -10.85 -10.51 8.59
H54 -16.97 -5.40 8.99
H55 -13.63 -9.44 18.03
H56 -14.37 -7.58 14.92
H57 -11.81 -11.99 10.61
H58 -14.11 -14.73 11.24
H59 -8.34 -13.34 12.69
H60 -14.78 -9.33 9.47
H61 -14.72 -9.53 16.78
H62 -14.55 -14.58 18.94
H63 -13.07 -5.60 14.94
H64 -13.17 -6.35 13.39
H65 -10.70 -5.77 11.30
H66 -12.69 -7.83 7.83
H67 -11.77 -4.43 10.95
H68 -15.53 -4.28 9.37
H69 -10.14 -14.81 9.79
H70 -12.08 -13.84 17.41
H71 -13.87 -9.90 11.65
H72 -14.85 -11.90 15.27
H73 -11.00 -10.27 15.38
H74 -9.50 -11.16 19.28
H75 -8.72 -11.47 14.24
H76 -13.43 -4.84 8.00
H77 -13.24 -15.58 18.56
H78 -10.31 -4.29 11.64

***

# 2
Here is a single C4H5N3O molecule at a distorted geometry from the OMol25 dataset. Energies are from wB97M-V/def2-TZVPD.

The total charge is 0. The calculation puts the energy relative to the best compared isomer or geometry (same formula, charge and spin) at 510.8 kJ/mol. The HOMO-LUMO gap is 9.128 eV. The SMILES is [H]/N=C/N(O)C(=C)C#N. The total energy comes out at -10742.321 eV.

Element x y z (Å)
O1 0.16 1.87 -0.01
N1 0.46 0.52 0.04
N2 -3.05 0.12 -0.16
N3 2.37 -0.79 -0.15
C1 1.82 0.40 -0.06
C2 -0.59 -0.53 0.00
C3 -0.21 -1.82 0.20
C4 -1.89 -0.10 0.01
H1 0.08 2.38 0.93
H2 2.42 1.43 -0.10
H3 3.38 -0.82 0.10
H4 0.80 -2.14 -0.03
H5 -1.12 -2.49 0.22

***

# 3
Here is a single C5H13NS molecule at a distorted geometry from the OMol25 dataset. Energies are from wB97M-V/def2-TZVPD.
~~~

Activity =
The reader should filter the entries further up: keep the lines with the word "SMILES".

Written answer =
The total charge is 0. The calculation puts the energy relative to the best compared isomer or geometry (same formula, charge and spin) at 510.8 kJ/mol. The HOMO-LUMO gap is 9.128 eV. The SMILES is [H]/N=C/N(O)C(=C)C#N. The total energy comes out at -10742.321 eV.